Friday, January 31, 2014

Christ as Healing Life

Christ is not only our redemption before God; He is
also redemption in our body. He gives life to our body,
resurrection life--now!

"If the Spirit of him who raised Jesus from the 
dead dwells in you, he who raised Christ Jesus 
from the dead will also give life to your mortal 
bodies through the Spirit who dwells in you." 
Romans 8:11

Our bodies have not changed but the Someone who
rose from the grave brings resurrection life with Him
when He comes to dwell in us. The sinless One who
never became ill on earth, carries with Him an ample
supply of strength, and vibrant health for any situation.
I have not yet embraced this truth but I am growing....

Jesus, I receive you as my healing today.

Thankful Corner:
The way my Papa God turns up the light to show
a new aspect of redemption to me!


Thursday, January 30, 2014

No Condemnation

Christ has become our redemption.
Christ has become my redemption.

My Papa God sees me in Christ. The blood of Jesus
has removed my sin-record. Christ has satisfied God's
righteous requirement because Christ bore sin's
punishment on my behalf, on your behalf.

Do you hear this? I can never go before God and
moan, "I am such a sinner, an insignificant failure,
such a low life." The truth is that I have been washed
in the blood of the Lamb. I am a redeemed Saint.
Yes, I mess up, make poor choices but that does not
change my identity before God. Jesus had one big
complaint toward the Pharisees, that they neither
understood God's character, or believed in His power.
We live out our Christian life according to what we
believe about God and ourselves. If I see God angry
at this poor sinner, I will act the same scene out
every day. There will be no victory as I try to change
and live up to His expectations.


Dear reader, there is still more to come...

Thankful Corner:
For this study. It is changing me!

See Stories:

These materials data were left in the entry by mistake
____________
Entry 1:
# Na3DySi6O15

An optimized crystal structure of Na3DySi6O15 (GGA-PBE, the Materials Project database).

space group: Cmce, No. 64

a = 11.658 Å, b = 11.658 Å, c = 10.643 Å
α = 90.00°, β = 90.00°, γ = 101.15°
Sites, in units of the cell vectors:
Dy1 0.160 0.340 0.250
Dy2 0.660 0.840 0.250
Dy3 0.840 0.660 0.750
Dy4 0.340 0.160 0.750
O1 0.922 0.749 0.576
O2 0.391 0.838 0.014
O3 0.662 0.109 0.486
O4 0.841 0.489 0.658
O5 0.928 0.072 0.798
O6 0.485 0.235 0.169
O7 0.765 0.515 0.169
O8 0.659 0.011 0.158
O9 0.989 0.341 0.158
O10 0.000 0.720 0.088
O11 0.109 0.662 0.514
O12 0.428 0.572 0.702
O13 0.891 0.338 0.486
O14 0.611 0.389 0.008
O15 0.338 0.891 0.514
O16 0.251 0.078 0.576
O17 0.572 0.428 0.298
O18 0.847 0.844 0.182
O19 0.162 0.609 0.014
O20 0.985 0.735 0.331
O21 0.780 0.500 0.412
O22 0.111 0.889 0.492
O23 0.653 0.656 0.682
O24 0.220 0.500 0.588
O25 0.344 0.347 0.682
O26 0.153 0.156 0.818
O27 0.000 0.280 0.912
O28 0.889 0.111 0.508
O29 0.249 0.422 0.076
O30 0.749 0.922 0.424
O31 0.656 0.653 0.318
O32 0.667 0.333 0.563
O33 0.341 0.989 0.842
O34 0.511 0.159 0.658
O35 0.578 0.751 0.076
O36 0.333 0.667 0.437
O37 0.156 0.153 0.182
O38 0.609 0.162 0.986
O39 0.015 0.265 0.669
O40 0.072 0.928 0.202
O41 0.751 0.578 0.924
O42 0.500 0.780 0.588
O43 0.280 0.000 0.088
O44 0.489 0.841 0.342
O45 0.265 0.015 0.331
O46 0.159 0.511 0.342
O47 0.422 0.249 0.924
O48 0.389 0.611 0.992
O49 0.844 0.847 0.818
O50 0.011 0.659 0.842
O51 0.347 0.344 0.318
O52 0.078 0.251 0.424
O53 0.720 0.000 0.912
O54 0.235 0.485 0.831
O55 0.735 0.985 0.669
O56 0.833 0.167 0.063
O57 0.515 0.765 0.831
O58 0.167 0.833 0.937
O59 0.838 0.391 0.986
O60 0.500 0.220 0.412
Si1 0.742 0.472 0.020
Si2 0.297 0.916 0.966
Si3 0.703 0.084 0.034
Si4 0.028 0.192 0.800
Si5 0.692 0.528 0.300
Si6 0.242 0.972 0.480
Si7 0.472 0.308 0.300
Si8 0.028 0.758 0.480
Si9 0.758 0.028 0.520
Si10 0.584 0.203 0.534
Si11 0.192 0.028 0.200
Si12 0.972 0.808 0.200
Si13 0.797 0.416 0.534
Si14 0.528 0.258 0.020
Si15 0.528 0.692 0.700
Si16 0.203 0.584 0.466
Si17 0.308 0.472 0.700
Si18 0.084 0.703 0.966
Si19 0.972 0.242 0.520
Si20 0.472 0.742 0.980
Si21 0.916 0.297 0.034
Si22 0.258 0.528 0.980
Si23 0.808 0.972 0.800
Si24 0.416 0.797 0.466
Na1 0.527 0.973 0.750
Na2 0.738 0.738 0.500
Na3 0.473 0.027 0.250
Na4 0.928 0.072 0.250
Na5 0.973 0.527 0.250
Na6 0.072 0.928 0.750
Na7 0.762 0.762 0.000
Na8 0.027 0.473 0.750
Na9 0.572 0.428 0.750
Na10 0.262 0.262 0.500
Na11 0.428 0.572 0.250
Na12 0.238 0.238 0.000

***

Entry 2:
# LiAu

An optimized crystal structure of LiAu (GGA-PBE, the Materials Project database).

space group: Pm-3m, No. 221

a = 3.145 Å, b = 3.145 Å, c = 3.145 Å
α = 90.00°, β = 90.00°, γ = 90.00°
Sites, in units of the cell vectors:
Au1 0.500 0.500 0.500
Li1 0.000 0.000 0.000

***

The records above yield E_tot values of -7.367; -3.134 eV per atom, respectively.


*one*
Computed, not measured: an optimized crystal structure of CdSiP2 at the GGA-PBE level of DFT.

Cell: 4.6134 4.6134 4.6134 Å, 60.00 60.00 60.00°
____________
The entry goes on

Wednesday, January 29, 2014


"But of him are ye in Christ Jesus, who of 
God is made unto us wisdom: and 
righteousness, sanctification, and redemption." 
1 Corinthians 1:30

Just like Christ is becoming our wisdom, our
regeneration, our sanctification, He is also
becoming our redemption. (It is an inward
journey is it not?)

Redemption: "To buy back or to free by
paying a ransom."

Three things go into redemption:
1 The helpless one--we were formerly slaves
    Romans 7:14
2 The Redeemer--Jesus paid the price.
    Mark 10:45
3 The price of redemption--His blood
   Galatians 3:13

The Lord Jesus is not only our redeemer, He is
our redemption. You see a redeemer saves but
does not connect. In redemption, Jesus has
become one with us. Our redemption is a person.
When we have Jesus, we have redemption, but
without Jesus we do not have redemption.

Dear reader, does this sound "old hat." I hope not.
My prayer for you is that God will repackage the
truth in such a way that you will go, "Wow! I
have never seen this before.
What a magnificent God I have!"

(This subject is not nearly finished.)

Thankful Corner:
Freezing rain falls outside, but it does not
touch me. Snow flakes here and there.

See the stories:

Tuesday, January 28, 2014


Another long word. Few truly "get" sanctification.
Well, not in the way most Christians expect.
Surely we have to work, pray, read our Bibles,
serve others, in order to be sanctified! Right? Not so!
Our sanctification is a gift and His name is Jesus.
God does not need our help for us to become Holy.
Our sanctification is a person.

"…who (Jesus) of God is made unto us wisdom: 
and righteousness, and sanctification, and 
redemption." 1 Corinthians 1:30

Many, most Christians including myself, believe or
have believed that a person must have the power
of sanctification before he can produce the fruits of
sanctification. But scripture tells us that when we have
Christ we have sanctification. I bump up against pride.
Ouch! I want to be humble, I really do. For years I
prayed and asked God to make me humble. I knew
I needed his help in this matter, but nothing changed.
Then I discovered--oh, glorious discovery--that God
gave me Christ, who is my humility! What does this
mean? It means that I do not have any humility in
myself. Not any. So, I cannot in my own strength
or even in his power, be humble. I can only say to the
Lord, "You are my humility. I allow you to become
humility in me." I exchange that which I do not have
for Jesus Himself, who is humility.

How  many of you cry out for patience? You have
no patience in yourself, but through surrender and
trust in His glorious Self, the mighty God who dwells
within you, He will manifest patience in that moment
you need it.

Can the Christian life really be so simple? Yes! May
God open your eyes to the freedom that is in our


Thankful Corner:
I texted with my son last night.

Monday, January 27, 2014


Wow, that is certainly a putter offer on a Monday
morning! But in talking about wisdom we have
to start with righteousness because they are
connected. (See last weeks Blogs…)

"…who of God is made unto us wisdom:
and righteousness, and sanctification and

Am I righteous or am I not righteous? We
certainly can't answer that question by how we
feel! Upon what basis do I come to God in
prayer? I come on the basis of my righteous
standing before God. I love this scripture:

"He (God) made Him (Jesus) who knew
no sin to be sin on our behalf, that we 
might become the righteous of God."
2 Corinthians 5:21

God has done it. I can't become more
righteous by trying to live a perfect life.

Many Christians think that their righteous
behavior--or not so righteous-- is how God
views them, but God divides our righteousness
from our conduct. Yes, God is interested in
our conduct but our righteousness before
God cannot be improved upon.

Is this not a "Glory to God, Hallelujah" moment?
I can dance into His presence and dance out
because there is no chance He will squash me
like a bug! Dear reader, do you get it?

Thankfulness corner:
That I stand righteous before God--all the time

Friday, January 24, 2014


OK, how does one live the Christian life?
Well, Christ became wisdom to us from God.

First Corinthians 1:30 reads like this in the original:

"But of Him are ye in Christ Jesus,
who of God is made unto us wisdom:
and righteousness, and sanctification, 
and redemption."

Notice the colon after the word wisdom. Wisdom
is the subject; righteousness, sanctification, and
redemption explains how Christ becomes our
wisdom. God the Father makes Jesus to become
wisdom unto us.

You may not believe this but God has not given
us Christ just so we can be saved. He has given
Christ to be our life. Before we received Jesus
we lived out of our own resources in order to
get life. But now that we have Jesus. He
becomes our life within. He wants us to live our
life through His life.

The verse above does not say that Jesus gives us
wisdom but that Christ became wisdom to us from
God. It is not that Christ makes us wise, or that
we have the gift of wisdom, but He is becoming
our wisdom! It is a becoming, not an all at once
done deal.

Maybe I am one of the few Christians who have
tried and tried to live out my Christian life through
my own resources--and failed miserably--,but I
don't think so. It was not until a few years ago
that I found out that it is not only hard, but it is
impossible to live the Christian life on ones own!

Thankful Corner:
A quiet day of heart peace

See my stories:

Thursday, January 23, 2014


The words, "Christ is life" sound good but how
can we appropriate his life into ourselves?
Christ is both man and God. I can't get Him
inside me. Ah, but with God as the initiator,
all things are possible! Listen to the verse again.
"But of him, you are in Christ." If God had not
done the work to make this possible, we would
still be dead in our sins. The second part of the
verse, "who became wisdom to us from God,"
was also done by God. We cannot make the
Lord our wisdom in our own strength, anymore
than we can work to become saved.

Thankfulness corner:
One husband, one stud finder; pictures going up!

Wednesday, January 22, 2014

Christ is Life

A few years ago I came across the phrase,
"Christ is our life." Have you, dear reader
ever come across this phrase, or is it so
commonplace it just rolls off your tongue?
Over the past couple of weeks I have been
pondering a particular verse which highlights
the essentials that underlies this concept--piece
by tiny piece.

"But of him are ye in Christ Jesus,
who of God is made unto us wisdom."
1Corinthians 1:30

God's purpose in sending Jesus to this
earth is not to give us a pattern to live by,
but to give us life, a life manifested to
others through us. If we do not have this
life within us we are not Christians. My
problem has been that I did not realize
that I had this life in me and so for many
years I did not manifest His life to
others--just words.

Thankful Corner: Remembering Friends

Monday, January 20, 2014


It is now Sunday, January 19th. I sit in the same
chair, but the sun is hidden, has been hidden, by
clouds and fog for the past week. The madness
of the move has settled leaving an unfilled void.
Just as the trees stand heavy with ice, so my
heart has been heavy with the loss. How does
one shut down the last eleven years of familiar
roads, favorite restaurants, church, but most
of all, the friendships? We traded our townhouse
on a lake for a farmhouse surrounded by corn
fields and a train across the road! The boxes
are unpacked, but everything has not yet found
a home. Clutter.

As I sit here writing the clouds are rolling away
to reveal a late afternoon sun. The ice is falling
like rain off the fur tree.

The sun has shown everyday, but has been
obscured by clouds.The goodness of God has
not changed, but has been obscured by change,
loss, and distance--on my part.

Thankful corner:
The sharp crunch of snow giving way as Jake
and I walk through a field of white on a foggy

Sunday, January 19, 2014

January 4

From my journal:

New year, new page, new opportunities to walk in
God's grace. Challenges! Surrender, thanksgiving,
gratefulness possible. He has everything I need for
this moment. We have been living without routine
for the past four months. How much we humans
crave order! As I sit in the sunlight of early morning
I sense hope that this season of unsettledness is
slowly coming to an end. But, my security is not
in routine, but in Jesus.